== What to do ==
Could you find "-0.360 -0.580" and "(hartree): 0.0196" in the entries further below, and transcribe these two lines and those between?

== Material ==
<<<
Entry from the OMol25 dataset: a 2-piece molecular cluster, C3H9NO2 overall at a distorted geometry (the ωB97M-V functional and the def2-TZVPD basis).

Geometry as XYZ:
```
15
Properties=species:S:1:pos:R:3:forces:R:3
C 1.289324 -0.492377 -2.494854 -0.927 2.647 -0.786
C 0.032402 0.293004 -2.060523 0.004 -0.739 0.672
O -0.459855 1.314622 -2.430840 0.432 -0.168 -0.499
O -0.495471 -0.462749 -1.065353 0.203 -1.299 0.949
H 0.855907 -1.292560 -3.069386 0.337 -0.360 -0.580
H 1.808940 -0.887636 -1.662402 0.332 -0.360 0.886
H 1.924622 0.221962 -3.040083 -0.131 -0.725 -0.211
H -1.431657 -0.645296 -0.939016 -0.243 1.004 -0.463
C -1.030284 0.030267 2.451295 0.941 -0.281 0.800
N 0.167901 0.918649 2.673033 0.486 -1.366 -0.946
H -1.167639 -0.292890 1.441340 -0.396 0.529 -1.008
H -1.945676 0.402608 2.919075 0.246 0.300 -0.326
H -0.855541 -0.950477 2.894590 0.245 0.156 0.656
H 1.007644 0.313865 2.518138 -0.907 0.437 0.627
H 0.299383 1.529008 1.864985 -0.620 0.226 0.227
```
Forces are in eV/Å.

LUMO energy (hartree): 0.0196
E_tot (eV): -8841.4252
Kohn-Sham gap (eV): 10.21
E_HOMO (eV): -9.6775
Molar mass (u): 91.11

Atom charges from the natural (NBO) analysis, given in e for atoms 1 to 8: C -0.71; C 0.81; O -0.56; O -0.76; H 0.24; H 0.24; H 0.23; H 0.51

~~~~~

{
  "formula": "C20H14FeN5O4S",
  "method": "the ωB97M-V functional and the def2-TZVPD basis",
  "gap_ev": [6.85, 6.84],
  "fmax_ev_per_a": 2.95,
  "lumo_energy_ev": [2.0, 2.0],
  "e_tot_ha": -3007.29837,
  "e_above_lowest_kj_mol": 0.00,
  "s2": 6.01,
  "homo_ev": [-4.87, -4.89],
  "charge": -1,
  "spin_multiplicity": 5,
  "symbols": ["Fe", "S", "O", "O", "O", "O", "N", "N", "N", "N", "N", "C", "C", "C", "C", "C", "C", "C", "C", "C", "C", "C", "C", "C", "C", "C", "C", "C", "C", "C", "C", "H", "H", "H", "H", "H", "H", "H", "H", "H", "H", "H", "H", "H", "H"],
  "coordinates": [[1.923, -0.800, -1.954], [0.698, -2.683, -2.789], [3.532, 2.355, -4.124], [2.747, 0.312, -3.649], [1.917, -1.249, 0.096], [2.135, -0.390, 2.176], [2.656, 0.882, -1.062], [-2.946, -3.253, -1.095], [-1.729, -3.307, -1.886], [-0.229, -0.259, -1.371], [-1.054, -1.171, -1.183], [-4.096, -2.803, 0.939], [-0.562, 3.208, 0.935], [3.558, 3.059, -1.305], [3.141, 2.110, 0.880], [-1.714, -3.068, 0.976], [-0.818, 0.793, 0.760], [-2.901, -3.053, 0.258], [-0.154, 2.099, -1.146], [-0.836, 1.970, 1.499], [-1.739, -2.866, 2.336], [-0.306, 3.288, -0.396], [3.540, 3.197, 0.101], [2.231, -0.356, 0.933], [-2.920, -2.651, 3.057], [-4.073, -2.537, 2.319], [3.148, 1.481, -3.358], [2.716, 0.958, 0.243], [-0.450, 0.874, -0.591], [3.113, 1.860, -1.858], [-0.800, -2.449, -1.917], [-0.989, -0.163, 1.242], [-0.100, 4.236, -0.846], [3.190, 2.185, 1.941], [3.840, 4.088, 0.582], [-0.825, -2.840, 2.901], [0.199, 2.078, -2.139], [-0.536, 4.069, 1.541], [-3.545, -4.017, -1.369], [-1.020, 1.869, 2.591], [-5.052, -2.820, 0.339], [-2.896, -2.560, 4.178], [-5.041, -2.300, 2.778], [-0.820, -3.191, 0.439], [3.866, 3.813, -2.000]],
>>>

== Worked solution ==
H 0.855907 -1.292560 -3.069386 0.337 -0.360 -0.580
H 1.808940 -0.887636 -1.662402 0.332 -0.360 0.886
H 1.924622 0.221962 -3.040083 -0.131 -0.725 -0.211
H -1.431657 -0.645296 -0.939016 -0.243 1.004 -0.463
C -1.030284 0.030267 2.451295 0.941 -0.281 0.800
N 0.167901 0.918649 2.673033 0.486 -1.366 -0.946
H -1.167639 -0.292890 1.441340 -0.396 0.529 -1.008
H -1.945676 0.402608 2.919075 0.246 0.300 -0.326
H -0.855541 -0.950477 2.894590 0.245 0.156 0.656
H 1.007644 0.313865 2.518138 -0.907 0.437 0.627
H 0.299383 1.529008 1.864985 -0.620 0.226 0.227
```
Forces are in eV/Å.

LUMO energy (hartree): 0.0196